_Brief_
The reader should return only the lines underneath with the word "Br8" in them.

_Excerpt_
********
# Sm4BI3Br2
Calculated XRD peak list, copper Kα. Input: a DFT-relaxed cell (PBE, OQMD).

Principal peaks in the range 2θ from 10° to 80°, in order of falling intensity:
| index | d/Å | 2θ (°) | I/Imax |
| --- | --- | --- | --- |
| 1 1 -2 | 2.992 | 29.9 | 100 |
| 6 0 0 | 3.091 | 28.9 | 45 |
| 0 0 1 | 8.559 | 10.3 | 39 |
| 5 1 -1 | 2.748 | 32.6 | 32 |
| 5 1 2 | 2.167 | 41.7 | 30 |
| 7 1 -2 | 2.133 | 42.4 | 27 |
| 0 2 0 | 2.051 | 44.2 | 19 |
| 3 1 -1 | 3.308 | 27.0 | 17 |
| 3 1 1 | 3.055 | 29.2 | 16 |
| 6 2 0 | 1.709 | 53.6 | 16 |

Cell and atoms:
```
data_Sm4BI3Br2
_chemical_formula_sum 'Sm8 B2 I6 Br4'
_cell_length_a 18.962
_cell_length_b 4.101
_cell_length_c 8.751
_cell_angle_alpha 90.00
_cell_angle_beta 102.02
_cell_angle_gamma 90.00
_symmetry_space_group_name_H-M 'C 1 2/m 1'
_symmetry_Int_Tables_number 12
_symmetry_space_group_name_Hall '-C 2y'
loop_
_atom_site_label
_atom_site_fract_x
_atom_site_fract_y
_atom_site_fract_z
_atom_site_occupancy
Sm1 0.001 0.000 0.300 1
Sm2 0.139 0.500 0.572 1
B1 0.000 0.500 0.500 1
I1 0.000 0.500 0.000 1
I2 0.173 0.000 0.320 1
Br1 0.158 0.000 0.819 1
```

# Tb2IBr2N
Calculated XRD peak list, copper Kα. Input: a DFT-relaxed cell (PBE, OQMD).

Principal peaks in the range 2θ from 10° to 80°, in order of falling intensity:
| index | d/Å | 2θ (°) | I/Imax |
| --- | --- | --- | --- |
| 6 0 -1 | 2.871 | 31.2 | 100 |
| 2 0 -1 | 8.802 | 10.0 | 86 |
| 1 1 2 | 2.796 | 32.0 | 85 |
| 1 1 -2 | 3.212 | 27.8 | 67 |
| 1 1 1 | 3.384 | 26.3 | 62 |
| 5 1 1 | 2.117 | 42.7 | 44 |
| 5 1 -3 | 2.535 | 35.4 | 41 |
| 7 1 -3 | 2.162 | 41.8 | 37 |
| 6 2 -1 | 1.626 | 56.6 | 36 |
| 5 1 -2 | 2.676 | 33.5 | 34 |

Cell and atoms:
```
data_Tb2IBr2N
_chemical_formula_sum 'Tb8 I4 Br8 N4'
_cell_length_a 18.279
_cell_length_b 3.945
_cell_length_c 11.539
_cell_angle_alpha 90.00
_cell_angle_beta 124.10
_cell_angle_gamma 90.00
_symmetry_space_group_name_H-M 'C 1 2/m 1'
_symmetry_Int_Tables_number 12
_symmetry_space_group_name_Hall '-C 2y'
loop_
_atom_site_label
_atom_site_fract_x
_atom_site_fract_y
_atom_site_fract_z
_atom_site_occupancy
Tb1 0.076 0.000 0.461 1
Tb2 0.133 0.500 0.785 1
I1 0.046 0.500 0.229 1
Br1 0.171 0.000 0.013 1
Br2 0.213 0.500 0.620 1
N1 0.073 0.000 0.655 1
```

# Y3CuTe5
Calculated XRD peak list, copper Kα. Input: a DFT-relaxed cell (PBE, OQMD).

Principal peaks in the range 2θ from 10° to 80°, in order of falling intensity:
| index | d/Å | 2θ (°) | I/Imax |
| --- | --- | --- | --- |
| 1 1 1 | 2.997 | 29.8 | 100 |
| 3 0 0 | 2.507 | 35.8 | 61 |
| 2 1 1 | 2.344 | 38.4 | 39 |
| 3 0 2 | 1.597 | 57.7 | 30 |
| 1 0 1 | 3.628 | 24.5 | 22 |
| 0 0 2 | 2.071 | 43.7 | 17 |
| 2 0 0 | 3.760 | 23.7 | 15 |
| 3 2 1 | 1.593 | 57.9 | 15 |
| 2 2 1 | 1.923 | 47.3 | 15 |
| 5 1 1 | 1.284 | 73.8 | 13 |

Cell and atoms:
```
data_Y3CuTe5
_chemical_formula_sum 'Y3 Cu1 Te5'
_cell_length_a 8.6844
_cell_length_b 8.6844
_cell_length_c 4.1422
_cell_angle_alpha 90.00
_cell_angle_beta 90.00
_cell_angle_gamma 120.00
_symmetry_space_group_name_H-M 'P -6 2 m'
_symmetry_Int_Tables_number 189
_symmetry_space_group_name_Hall 'P -6 -2'
loop_
_atom_site_label
_atom_site_fract_x
_atom_site_fract_y
_atom_site_fract_z
_atom_site_occupancy
Y1 0.0000 0.2796 0.0000 1
Cu1 0.0000 0.0000 0.5000 1
Te1 0.0000 0.7125 0.5000 1
Te2 0.3333 0.6667 0.0000 1
```

# KHfTeAuSe2
Calculated XRD peak list, copper Kα. Input: a DFT-relaxed cell (PBE, OQMD).

Principal peaks in the range 2θ from 10° to 80°, in order of falling intensity:
| index | d/Å | 2θ (°) | I/Imax |
| --- | --- | --- | --- |
| 0 2 0 | 7.863 | 11.3 | 100 |
| 1 3 2 | 2.731 | 32.8 | 39 |
| 1 3 1 | 3.036 | 29.4 | 34 |
| 1 5 2 | 2.243 | 40.2 | 23 |
| 0 0 4 | 2.708 | 33.1 | 22 |
| 0 2 4 | 2.561 | 35.0 | 14 |
| 1 3 5 | 1.787 | 51.1 | 11 |
| 2 2 4 | 1.568 | 58.9 | 11 |
| 2 0 0 | 1.983 | 45.8 | 11 |
| 2 0 4 | 1.600 | 57.6 | 10 |

Cell and atoms:
```
data_KHfTeAuSe2
_chemical_formula_sum 'K4 Hf4 Te4 Au4 Se8'
_cell_length_a 3.965
_cell_length_b 15.727
_cell_length_c 10.834
_cell_angle_alpha 90.00
_cell_angle_beta 90.00
********

_Response_
_chemical_formula_sum 'Tb8 I4 Br8 N4'